The Whole Armor of God (Part Two)


The Whole Armor of God (Part Two)

• Inserted here: calculated molecules:
- - -
# 1
H3N2O4 | ωB97M-V/def2-TZVPD

Properties
Charge   -1
LUMO level (spin up / spin down)   4.6 / 4.6 eV
Multiplicity   1
Kohn-Sham gap (spin up / spin down)   8.218 / 8.216 eV

Atoms and positions in Å:
N1 0.4509 2.1830 0.0452
N2 0.9706 -0.2917 -0.3133
O1 1.9964 0.4083 -0.4754
O2 -2.0167 -1.5693 0.0312
O3 -0.3375 1.2222 -0.0012
O4 0.8774 -1.5354 -0.4006
H1 -1.5365 -0.7018 -0.1950
H2 0.8059 2.3319 1.0946
H3 -1.2105 -2.0471 0.2145

Mulliken atomic charge list, values in e, 4 entries: atom 1 (N): -0.174, atom 2 (N): 0.389, atom 3 (O): -0.545, atom 4 (O): -0.692



# 2
C5H7O2S | ωB97M-V/def2-TZVPD

Properties
Charge   -1
LUMO level   3.6 eV
Multiplicity   1
Kohn-Sham gap   6.984 eV

Atoms and positions in Å:
C1 -2.8778 -0.3089 0.3146
C2 -1.5804 -0.1066 0.0634
C3 0.4385 1.3747 0.2287
C4 0.6143 -1.1764 -0.5130
C5 -0.2141 0.0710 -0.0719
O1 -5.4593 1.0952 -0.1951
O2 -5.4645 -1.2234 0.7385
S1 -4.9836 -0.3326 -0.3768
H1 -3.0683 -0.9798 1.2563
H2 1.1516 1.3017 1.1820
H3 -0.1476 2.1715 0.3296
H4 1.0144 1.5207 -0.6008
H5 1.6843 -1.1912 -0.0608
H6 0.7173 -1.0530 -1.5738
H7 0.0857 -1.9494 -0.1619

Mulliken atomic charge list, values in e, 4 entries: atom 1 (C): -1.005, atom 2 (C): 0.553, atom 3 (C): -1.290, atom 4 (C): -1.235



# 3
C4H11NS2 | ωB97M-V/def2-TZVPD

Properties
Charge   +1
LUMO level (spin up / spin down)   -3.8 / -7.5 eV
Multiplicity   2
Kohn-Sham gap (spin up / spin down)   9.600 / 5.910 eV

Atoms and positions in Å:
N1 0.9647 1.8678 2.8155
C1 0.7636 0.4617 2.5993
C2 0.8837 0.1336 1.1203
S1 -0.3280 -1.1770 0.6345
S2 -0.4243 -0.9902 -1.3414
C3 -0.3192 0.7912 -1.7396
C4 -0.9162 1.0467 -3.1091
H1 1.9518 2.0864 2.8268
H2 0.5855 2.1580 3.7056
H3 1.2841 -0.2195 3.2847
H4 -0.2537 0.1823 2.8840
H5 0.7346 1.0632 0.5898
H6 1.8235 -0.2612 0.7277
H7 -0.7415 1.4019 -0.9481
H8 0.7605 0.9744 -1.7232
H9 -0.5793 2.0304 -3.4601
H10 -1.9941 1.1335 -3.1430
H11 -0.4163 0.3689 -3.7964

Mulliken atomic charge list, values in e, 4 entries: atom 1 (N): -0.606, atom 2 (C): -0.563, atom 3 (C): -0.588, atom 4 (S): 0.147



# 4
C7H15O4S3 | ωB97M-V/def2-TZVPD

Properties
Charge   -1
LUMO level   3.0 eV
Multiplicity   1
Kohn-Sham gap   7.284 eV

Atoms and positions in Å:
C1 1.5579 -1.7354 0.5464
C2 0.0205 -1.8415 0.7121
C3 2.1881 -0.8336 -0.5970
C4 -0.6554 -0.8238 1.4628
C5 2.8964 1.4995 -1.0651
C6 2.2825 0.5628 -0.0769
C7 -1.8223 -0.2694 1.0513
O1 -0.8691 0.7425 -1.1935
O2 -3.3215 0.8079 -0.7972
O3 3.3188 2.7009 -0.4912
O4 1.0995 1.1710 0.3586
S1 -3.0139 0.4370 1.9738
S2 -6.1714 0.0255 -0.9396
S3 -2.0847 -0.0476 -0.7805
H1 2.1201 -1.5084 1.4696
H2 1.8029 -2.7097 0.3680
H3 -0.1445 -2.6743 1.3666
H4 -0.5555 -1.9876 -0.1662
H5 1.6131 -0.9967 -1.4807
H6 3.1705 -1.1351 -0.9582
H7 -6.3022 1.3506 -0.7228
H8 -0.4293 -0.7501 2.5108
H9 2.1408 1.6331 -1.8314
H10 3.8173 1.1342 -1.4922
H11 3.0025 0.6049 0.8260
H12 2.6762 2.8084 0.2099
H13 0.3708 0.9292 -0.3263
H14 -3.7974 0.8063 0.8966
H15 -4.9107 0.0994 -0.8336
- - -

August 1, 2021 || Ephesians 6 || Kefing Aperto-Berry || The Whole Armor of God

Discussion Questions:

  • Today are you girded in the belt of truth? If so, how has the realization of who Jesus Christ is shaped your Christian life? Explain.

  • Daily how do you prepare yourself for spiritual battle? What routines have you developed that have helped you be on guard against the schemes of Satan? Explain.

  • What does praying all the time look like in your life? Have you experienced the benefits of living a lifestyle of prayer? Explain.


The Whole Armor of God


The Whole Armor of God

July 25, 2021 || Ephesians 6 || Kefing Aperto-Berry || The Whole Armor of God

Discussion Questions:

How has knowing that your victory over Satan is in the finished work of Jesus Christ encouraged you in your daily walk? Explain.

When did you realize that you were born into a spiritual battle? How has that changed your idea about spiritual things? Explain.

As a soldier is always armed and ready for war, how do you ensure that you always have on the Full Armor Of God? Explain.


Turn and Be Healed


Turn and Be Healed

July 18, 2021 || Acts 28 || Kefing Aperto-Berry || Turn and Be Healed

Discussion Questions:

  • When did you realized that the entirety of the Bible, the Old and New Testaments, centers around Jesus Christ? How did that realization grow your faith in Him? Explain.

  • Jesus Christ came to offer Salvation to all of His creation. In doing so, He naturally divides believers from non believers. How does this truth affect your belief in Him? Explain.

  • Everyone in this world is seeking healing, but true healing only comes from the hands of Jesus Christ. How have you experienced this kind of healing in your life? Explain.


Encouraged in Christ


Encouraged in Christ

July 11, 2021 || Acts 28 || Kefing Aperto-Berry || Encouraged in Christ

Discussion Questions:

  • Who are people in your life that God used to encourage you? How exactly does the Lord use them? Explain.

  • Can you recall a time when your circumstances were not good but you still witnessed the hand of God move upon your life to bless others? Explain.

  • What patterns has has the Lord revealed to you in His Word that shows that His truth is consistent and doesn’t change? Explain.


My Refuge


My Refuge

July 4, 2021 || Acts 28 || Kefing Aperto-Berry || My Refuge

Discussion Questions:

  • How have you responded to the calling of lifelong service? What are some challenges you face serving others? Explain.

  • How do you ensure that you don’t esteem people more than they should be, nor cut people down in the same way? Explain.

(Attached: quantum chemistry results)
/*
Entry 1:
The molecule C2H4N4O2. Source: the OMol25 dataset; level of theory: ωB97M-V/def2-TZVPD.

CARTESIAN COORDINATES (ANGSTROEM)
O (1.4964, -1.2838, 1.1722)
N (-1.2436, -0.0346, 0.0328)
C (-0.2190, 0.7750, -0.5158)
C (-0.6020, -1.1205, 0.3133)
N (-0.3379, 2.0258, -0.7806)
H (-0.9754, -1.9602, 0.8450)
H (1.9809, -2.1000, 0.9751)
H (-2.1046, 1.7681, -0.2846)
O (-1.5551, 2.5512, -0.5155)
N (0.7417, -1.1406, -0.0142)
N (0.9389, 0.0662, -0.6266)
H (1.8797, 0.4533, -0.6010)

SMILES	O/N=c1\ncn(O)[nH]1
LUMO energy	0.000	hartree
total charge	0

---

Entry 2:
A structure of composition C9H8IrN2O4. Source: the OMol25 dataset; level of theory: ωB97M-V/def2-TZVPD.

CARTESIAN COORDINATES (ANGSTROEM)
H (4.1319, 1.4745, -3.0950)
C (4.4698, 0.6318, -2.4801)
C (0.4709, 1.8213, 0.4356)
C (-0.3666, -1.9067, -0.5562)
H (3.6411, -0.8844, -3.7287)
N (-3.4776, -0.6091, 2.4380)
H (-2.5708, 2.0757, 0.7811)
Ir (0.0330, -0.0437, -0.0472)
H (-1.8958, -1.9738, 1.9284)
O (-1.3212, 0.9195, -2.6948)
H (5.0658, 0.8761, -1.5927)
O (1.7932, -1.0255, 2.3385)
C (-2.3257, -0.9781, 1.8223)
C (1.1722, -0.6702, 1.4311)
H (4.5752, -1.4818, -2.2257)
C (-2.7147, 1.1118, 1.2567)
H (-4.5831, 1.2558, 2.4251)
C (-3.7277, 0.7124, 2.0783)
O (0.7090, 2.9070, 0.7535)
C (-0.7712, 0.5670, -1.7387)
C (4.2052, -0.6388, -2.8212)
N (-1.8522, 0.0376, 1.1142)
H (-4.0463, -1.1850, 3.0457)
O (-0.6143, -2.9934, -0.8682)

multiplicity	5
LUMO energy (alpha / beta)	-0.372 / -0.641	hartree
total charge	+3
⟨S²⟩	6.021

---

Entry 3:
A cluster of 7 separate species, C9H32O7 in total. Source: the OMol25 dataset; level of theory: ωB97M-V/def2-TZVPD.

CARTESIAN COORDINATES (ANGSTROEM)
H (9.8557, -19.2414, -2.4720)
O (11.2771, -22.8534, 2.3278)
H (7.7026, -19.6916, -4.0096)
H (8.6937, -24.9296, -5.4581)
O (10.8136, -22.5807, -0.7588)
H (12.1402, -25.6990, 1.3252)
H (8.8332, -19.7835, -1.0752)
C (8.0965, -24.2614, -4.8378)
C (12.1375, -23.8538, 2.7153)
H (8.6276, -26.1234, 1.5614)
C (8.9694, -26.3971, 0.5632)
H (7.1872, -24.3064, -1.5299)
H (11.0938, -22.8263, 1.3858)
H (10.3868, -23.2797, -1.2542)
H (8.1791, -27.0151, -1.4493)
H (13.0487, -23.4901, 3.1902)
C (8.2318, -24.5047, -3.3876)
H (12.8258, -24.1795, 0.6048)
H (6.1934, -23.9266, -2.8632)
H (9.6992, -23.3534, -3.4061)
C (7.9100, -27.0655, -0.3942)
O (9.4461, -24.0820, -2.8345)
H (6.2044, -18.1894, -2.5433)
C (8.9425, -19.7475, -2.1591)
H (13.6743, -25.1049, 1.8690)
H (6.9430, -26.5625, -0.3888)
O (12.1764, -20.7053, -2.2220)
H (11.9608, -21.2861, -2.9517)
H (9.3944, -25.4737, 0.1696)
H (11.7233, -24.4443, 3.5326)
C (7.2124, -23.8034, -2.4965)
O (7.1563, -18.1728, -2.6665)
O (7.7252, -28.4204, -0.0461)
H (6.9644, -20.1651, -2.4286)
O (11.0284, -22.1210, -4.3354)
H (9.1083, -20.8063, -2.3578)
H (11.4200, -22.9762, -4.5130)
H (11.0420, -21.9248, -1.4174)
H (7.0901, -24.2802, -5.2562)
H (9.8171, -27.0599, 0.7365)
C (7.6219, -19.4665, -2.9461)
H (8.1788, -25.5873, -3.2722)
C (12.6993, -24.7808, 1.5051)
H (8.0264, -28.8599, -0.8447)
H (10.9095, -21.7274, -5.1998)
*/

  • Share the most recent instance when Jesus Christ provided for you exactly what you needed, in His perfect time.


God Over Everything


God Over Everything

June 27, 2021 || Acts 27 || Kefing Aperto-Berry || God Over Everything

Discussion Questions:

  • Have you ever made your own plans without consulting the Lord first? How did that work out for you? Explain.

  • Name one thing the Lord has to lovingly continue to remind you about. How do you respond to that correction? Explain.

  • How has knowing that God works through ordinary people to accomplish extraordinary things encouraged you? Explain.


Look to Christ


Look to Christ

June 20, 2021 || Acts 27 || Kefing Aperto-Berry || Look to Christ

Discussion Questions:

  • Do you recall when you hit rock bottom, when you came to the end of yourself? How did the Lord reveal Himself to you? Explain.

  • How do you know your life is anchored in Jesus Christ? What are the marks your life bears to prove that? Explain.

  • Can others around you sense you are not ashamed of the Gospel of Jesus Christ? What about you shows them that? Explain.


I Believe God


I Believe God

June 13, 2021 || Acts 27 || Kefing Aperto-Berry || I Believe God

Discussion Questions:

  • Can you recall how God has kept His promises to you? Explain.

  • How does that encourage you to know God will not let you die before your time? That you can trust His timing for your existence on earth is perfect? Explain.

  • How have you seen your relationship with Jesus Christ affect others for their good? Explain.


Refreshing in the Time of Need


Refreshing in the Time of Need

June 6, 2021 || Acts 27 || Kefing Aperto-Berry || Refreshing in the Time of Need

Discussion Questions:

  • You are in a certain family, living in a specific neighborhood, and working at particular job. How have you seen God use your life right where you are to help those around you? Explain.

  • Can you recall the last time you were spiritually, emotionally, and physically tired? Did the Lord refresh you? How did He do that? Explain.

  • How do you take Godly advice? Do you welcome it or do you struggle to accept it? Explain.


From Darkness to Light, Part Two


From Darkness to Light, Part Two

May 30, 2021 || Acts 26 || Pastor Kefing Aperto-Berry || From Darkness to Light, Part Two

Discussion Questions:

  • Since you got saved, have you become a witness for Jesus Christ? How has He used you to share the Gospel with others? Explain.

  • Has anyone thought you were crazy for giving your life to Jesus Christ? If so, how did you respond to their decision? Explain.

  • When did you realize that halfway faith won’t cut it in your relationship with Jesus Christ? How has that realization affected your faith to be all in? Explain.


From Darkness to Light


From Darkness to Light

May 23, 2021 || Acts 26 || Kefing Aperto-Berry || From Darkness to Light

Discussion Questions:

  • How do you deal with conviction? Being that it is an essential part of correction for right living in Jesus Christ, do you embrace it or run from it? Explain.

  • What role does humility play in your walk with Jesus Christ? Do you see yourself growing in humility? What are the marks that show you that you’re growing in humility? Explain.

  • In what areas of your life is the Lord calling you to be obedient today? Explain.


The Dead Will Rise


The Dead Will Rise

May 9, 2021 || Acts 26 || Kefing Aperto-Berry || The Dead Will Rise

Discussion Questions:

  • Knowing that one day you will be resurrected from the dead to stand before the Lord God Almighty, how has that affected your behavior now? Are you more aware of your behavior knowing you will be held accountable? Explain.

  • Your view of God will shape the rest of your world view. It will affect how effective your faith will be. Do you believe nothing is impossible for God? Explain.

  • Before you accepted Jesus Christ and His free gift of Salvation, you were an enemy of God. Knowing that you are now at peace with Him, how has that affected your daily life? Explain.


Humility Produces Exaltation


Humility Produces Exaltation

May 2, 2021 || Acts 25 || Kefing Aperto-Berry || Humility Produces Exaltation

Discussion Questions:

  • Do you notice a difference in how you judge from before the Holy Spirit was living in you until now? Are you able to administer fair judgement better with the Holy Spirit than without? Explain.

  • How have you been able to witness to others in the circumstances you have been placed in? Do you see your circumstances, no matter what they look like, as opportunities to share the Gospel message? Explain.

  • God’s economy is completely different from the world’s. Humility plays a key role in your relationship with Jesus Christ and others. How have you seen humility play out in your own life? Explain.


The Deception of Power


The Deception of Power

April 18, 2021 || Acts 25 || Kefing Aperto-Berry || The Deception of Power

Discussion Questions:

  • What can you do to ensure you don’t fall into the trap of becoming addicted to power? Explain.

  • When you are hidden in Jesus Christ you can be confident in His promise to protect your character. How has your confidence in Him encouraged you to trust in Him alone? Explain.

  • Knowing that the Lord will go before you, do you find yourself relying on your own strength or His? Explain.


Delay, Denial, and Rejection


Delay, Denial, and Rejection

April 11, 2021 || Acts 24 || Delay, Denial, and Rejection || Kefing Aperto-Berry

**Inserted here: records of molecules:**
=====
The following is a DFT calculation (ωB97M-V/def2-TZVPD) of a molecular structure, C45H50N4O6P2S2Se2W.

Computed properties:
LUMO energy (alpha / beta): -1.19 / -1.18 eV
Total charge: 0
E: -238483.5764 eV
Kohn-Sham gap (alpha / beta): 5.84 / 5.84 eV
E_HOMO (alpha / beta): -7.026 / -7.026 eV

```
112
C45H50N4O6P2S2Se2W ωB97M-V/def2-TZVPD
W -0.33 -0.01 0.81
Se 0.67 -0.53 2.79
P -2.13 1.47 1.79
Se -2.01 1.91 -0.31
C -1.76 2.84 2.91
C -2.08 4.15 2.57
C -1.82 5.18 3.47
C -1.26 4.89 4.70
C -0.94 3.59 5.04
C -1.19 2.56 4.15
C -3.83 1.00 2.23
C -4.21 0.97 3.58
C -5.49 0.61 3.93
C -6.42 0.30 2.94
C -6.06 0.35 1.61
C -4.77 0.70 1.25
H -2.50 4.37 1.60
H -2.06 6.20 3.20
H -1.05 5.70 5.40
H -0.48 3.37 6.00
H -0.91 1.54 4.39
H -3.49 1.23 4.35
H -5.78 0.58 4.97
H -7.43 0.02 3.22
H -6.78 0.11 0.84
H -4.48 0.73 0.21
O 4.68 -2.12 0.34
C 3.40 -1.86 -0.08
O 2.91 -0.61 0.41
C 2.44 -2.82 0.63
P 0.64 -2.52 0.32
C 0.43 -3.30 -1.33
C 0.29 -2.52 -2.47
C 0.25 -3.12 -3.73
C 0.36 -4.50 -3.85
C 0.51 -5.28 -2.71
C 0.55 -4.68 -1.46
C -0.10 -3.76 1.43
C 0.50 -4.16 2.62
C -0.10 -5.10 3.44
C -1.32 -5.65 3.07
C -1.93 -5.26 1.89
C -1.33 -4.32 1.07
H 2.63 -2.68 1.70
H 2.66 -3.85 0.36
H 0.26 -1.45 -2.40
H 0.15 -2.50 -4.61
H 0.35 -4.96 -4.82
H 0.62 -6.35 -2.80
H 0.67 -5.30 -0.58
H 1.45 -3.74 2.93
H 0.38 -5.40 4.36
H -1.79 -6.39 3.71
H -2.89 -5.68 1.61
H -1.82 -4.01 0.16
C 1.61 1.52 -3.95
N 1.02 2.56 -1.24
C 1.03 3.19 -0.04
S 0.87 2.23 1.34
N 3.60 2.29 -1.72
C 4.94 2.10 -2.35
H 1.07 1.26 -4.85
H 2.63 1.12 -4.04
H 1.64 2.62 -3.89
H 0.59 3.08 -1.99
H 3.70 2.79 -0.82
H 5.43 3.07 -2.44
H 4.80 1.64 -3.33
H 5.53 1.43 -1.73
C -2.37 -1.81 3.26
C -2.79 -1.79 1.83
C -3.88 -2.44 1.33
C -3.89 -2.26 -0.07
C -2.81 -1.48 -0.40
C -2.47 -1.00 -1.77
N -2.10 -1.18 0.77
H -3.17 -2.25 3.84
H -2.16 -0.81 3.66
H -1.47 -2.41 3.41
H -4.59 -3.00 1.92
H -4.62 -2.63 -0.78
H -2.50 -1.83 -2.48
H -1.48 -0.55 -1.83
H -3.17 -0.24 -2.10
C 7.05 1.50 -5.98
C 6.43 0.50 -5.04
C 5.16 -0.03 -5.28
C 4.61 -0.98 -4.43
C 5.30 -1.39 -3.31
C 6.57 -0.88 -3.05
C 7.12 0.06 -3.91
S 4.61 -2.76 -2.34
O 3.78 -3.46 -3.37
O 5.56 -1.45 -0.61
N 3.33 -1.92 -1.53
C 3.50 0.54 -0.09
C 2.89 0.98 -1.43
C 1.34 1.17 -1.55
O 0.90 0.94 -2.88
O 0.72 0.20 -0.82
H 6.39 1.73 -6.81
H 7.99 1.12 -6.39
H 7.28 2.44 -5.46
H 4.62 0.29 -6.17
H 3.65 -1.44 -4.65
H 7.09 -1.22 -2.16
H 8.11 0.44 -3.71
H 2.50 -2.39 -1.87
H 4.57 0.37 -0.24
H 3.33 1.33 0.66
H 3.21 0.27 -2.18
H 3.01 2.90 -2.28
```



The following is a DFT calculation (ωB97M-V/def2-TZVPD) of 10 unconnected molecules or ions with the total composition C25H60F15N5O20S5 at a distorted geometry.

Computed properties:
LUMO energy: -1.96 eV
Total charge: 0
E: -170230.6283 eV
Kohn-Sham gap: 5.98 eV
E_HOMO: -7.947 eV

```
130
C25H60F15N5O20S5 ωB97M-V/def2-TZVPD
C -6.45 4.63 1.84
C -5.09 5.18 1.22
C -4.65 4.21 0.13
O -4.14 2.93 0.53
C -2.84 2.82 1.12
N -5.51 6.59 0.72
H -5.96 6.42 -0.17
H -6.06 7.11 1.38
H -4.68 7.10 0.44
H -6.71 5.21 2.73
H -6.31 3.72 2.42
H -7.29 4.67 1.16
H -4.35 5.41 1.99
H -3.80 4.65 -0.38
=====
**The records of molecules stop here:**

Discussion Questions:

  • Do you recall a time when you were confronted with the Gospel but failed to respond? What made you not want to respond? Explain.

  • If you are saved now, what was the turning point in your life that caused you to respond to the Gospel? Explain.

  • How does knowing that once you give your life to Jesus Christ, you are sealed forever strengthen your faith? Explain.


The Good News: He Has Risen!


The Good News: He Has Risen!

April 4, 2021 || 1 Corinthians 15:1-8 || Kefing Aperto-Berry || The Good News: He Has Risen!

Discussion Questions:

  • We learned that the Gospel, when heard, accepted, and held on to, saves. What do you hold on to the most? Is to the Gospel of Jesus Christ, or is it material things, people, or experiences? How do you know? Explain.

  • The Gospel is all about Jesus Christ. His death, burial, and resurrection so that we may be saved. The Gospel is not about traditions, rule keeping, or good works to try and earn salvation. How has the True Gospel of Jesus Christ liberated you to serve Him? Explain.

  • As difficult as it was for Jesus Christ to go to the cross to pay our sin debt, it was the only way mankind could be saved. Understanding better what He had to endure to secure your salvation, does that give you a stronger desire to submit and serve Him? Explain.


The Servant King


The Servant King

March 28, 2021 || Matthew 21 || Kefing Aperto-Berry || The Servant King

Discussion Questions:

  • As we learned, Jesus Christ involved two of His disciples by sending them to get the donkey and her colt. What has the Lord recently asked you to do? Explain.

  • We also learned what the owner possessed, they were willing to allow Jesus Christ to use. What do you possess, whether physical or spiritual gifts from God? Are you willing to allow the Lord to use what you have? Explain.

  • Jesus’ triumphal entry into Jerusalem was a fulfillment of prophecy written several hundred years prior. How does the fulfillment of prophecies strengthen your faith in Jesus Christ? Explain.


Contending for the Faith


Contending for the Faith

March 21, 2021 || Acts 24 || Kefing Aperto-Berry || Contending for the Faith

Discussion Questions:

  • How do you contend for the faith? Is it done in love, having a heart for lost people? Or do you find yourself trying to win arguments to make a point? Explain.

  • Have you ever found yourself in a situation where there was an opportunity to deny Jesus Christ before others? What did you do? How did you respond? Explain.

  • How do you ensure that as you walk through this life with Christ you do so with a clear conscience? Explain.
